Natural Revelation
Divine Revelation
Patriarchs & Matriarchs
Creation & the Fall

The stars in the sky, the immensity of the earth's oceans, a sunrise, snowflakes falling, are examples of what kind of natural revelation?

Nature or God's creation


All of the books of the Bible were created through a process called...

Biblical inspiration


He entered into a covenant with God, receiving the promised land of Canaan and many descendants? 

Who is Abraham


How many versions of the Creation stories are there in the Old Testament?

**Between two parts of the text: records of crystals**
Density functional theory data (PBE-GGA) for Cu7Ag3 after structural relaxation.

Geometry as POSCAR:
```
Cu7Ag3
1.0
4.700 0.000 0.000
-1.594 5.221 0.000
-0.536 -1.576 5.569
Cu Ag
7 3
direct
0.382 0.787 0.798
0.024 0.516 0.017
0.209 0.407 0.396
0.599 0.695 0.183
0.202 0.896 0.396
0.379 0.302 0.796
0.009 0.997 0.014
0.599 0.195 0.181
0.800 0.603 0.608
0.797 0.101 0.612
```

Values from the calculation:
ΔE to the lowest computed polymorph = 0.045 eV per atom
E = -3.36 eV per atom
theoretical density = 9.338 g/cm3
DFT formation energy = 89 meV/atom

Density functional theory data (PBE-GGA) for HfAlSi2 after structural relaxation.

Geometry as POSCAR:
```
HfAlSi2
1.0
0.000 3.243 3.243
3.243 0.000 3.243
3.243 3.243 0.000
Si Al Hf
2 1 1
direct
0.750 0.750 0.750
0.000 0.000 0.000
0.500 0.500 0.500
0.250 0.250 0.250
```

Values from the calculation:
E = -5.85 eV per atom
theoretical density = 6.368 g/cm3

Density functional theory data (PBE-GGA) for NaAcLu after structural relaxation.

Geometry as POSCAR:
```
NaAcLu
1.0
-4.732 1.574 2.824
-2.882 4.681 -1.622
-5.133 -0.516 -2.497
Na Ac Lu
1 1 1
direct
0.750 0.750 0.750
0.000 0.000 0.000
0.250 0.250 0.250
```

Values from the calculation:
ΔE to the lowest computed polymorph = 0.236 eV per atom
E = -2.36 eV per atom
theoretical density = 5.301 g/cm3

Density functional theory data (PBE-GGA) for CuHgPd after structural relaxation.

Geometry as POSCAR:
```
CuHgPd
1.0
0.000 3.014 3.014
3.014 0.000 3.014
3.014 3.014 0.000
Hg Pd Cu
1 1 1
direct
0.250 0.250 0.250
0.750 0.750 0.750
0.000 0.000 0.000
```

Values from the calculation:
E = -2.97 eV per atom
theoretical density = 11.237 g/cm3
DFT formation energy = 98 meV/atom

Density functional theory data (PBE-GGA) for SrTlCd after structural relaxation.

Geometry as POSCAR:
```
SrTlCd
1.0
0.000 3.733 3.733
3.733 0.000 3.733
3.733 3.733 0.000
Cd Sr Tl
1 1 1
direct
0.250 0.250 0.250
0.750 0.750 0.750
0.000 0.000 0.000
```

Values from the calculation:
E = -1.83 eV per atom
theoretical density = 6.457 g/cm3

Density functional theory data (PBE-GGA) for Ba2CdOsO6 after structural relaxation.

Geometry as POSCAR:
```
**Here the text continues**



The word bible means...

Books or library of books


People we know who show courage, wisdom, compassion and unconditional love are examples of what kind of natural revelation?

Inspiring relationships


When God is revealed to us from generation to generation, beginning with the Apostles, and passed down to us through 2,000 years of popes and bishops, we call this:

Apostolic Tradition


She laughed at God's promise that she would have a child in her old age; a year later she gave birth to a son.

Who is Sarah.


The action of Adam and Eve disrupting a perfect union with God is often referred to as...

Original Sin


How many books are there in the Old Testament (Catholic version of the Bible)



We are attracted to beauty, goodness and truth in our world, but our experience of these often falls short of perfection. These are examples of what kind of natural revelation?

Deep longings and desires (which lead us toward God)


The mystery of Jesus' life, death, Resurrection and Ascension into heaven is called the ____ mystery.

What is the "Paschal Mystery"


She gave birth to twin boys and favored the youngest, so he would receive the older son's inheritance.

Who is Rebekah.


What is the pattern of human & divine covenant in the Old Testament? There is no pattern? or....

Covenants are made only once.

Covenants are never broken.

Covenants are made, broken and renewed.

Covenants are made, broken and renewed.


What term describes the pattern of specific events in human history in which God clearly reveals his presence and saving actions?

Salvation history


When someone uses logic and intellect to come to the conclusion that God exists is an example of what kind of natural revelation?

Human reason


The church leaders (the pope and bishops) who pass on all that God has revealed to us, are called the:

the Magisterium (= the Teachers)


He was sold into slavery by his jealous brothers, but rises to a position of authority, whereby he can save his family from famine in Egypt

Who is Joseph.


Which term describes the sin which corrupts society and its institutions over time by creating structures of sin (like racism, sexism, etc.)

_Misplaced calculated crystals_
____________
An optimized crystal structure of Ce2UGe3Pt4, computed with PBE.

Cell and atoms, written as CIF:
```
data_Ce2UGe3Pt4
_cell_length_a 4.326
_cell_length_b 4.326
_cell_length_c 11.033
_cell_angle_alpha 90.00
_cell_angle_beta 90.00
_cell_angle_gamma 90.00
_symmetry_space_group_name_H-M 'P -4 m 2'
_symmetry_Int_Tables_number 115
_symmetry_space_group_name_Hall 'P -4 -2'
loop_
_atom_site_label
_atom_site_type_symbol
_atom_site_fract_x
_atom_site_fract_y
_atom_site_fract_z
Ce1 Ce 0.000 0.500 0.232
U1 U 0.000 0.000 0.500
Ge1 Ge 0.000 0.500 0.879
Ge2 Ge 0.500 0.500 0.500
Pt1 Pt 0.000 0.000 0.000
Pt2 Pt 0.000 0.500 0.656
Pt3 Pt 0.500 0.500 0.000
```
____________
_Here the piece continues_

Social Sin


Which of these events make up salvation history?
Jesus' life and death

Jesus' Resurrection

Jesus' Ascension into heaven

### Unrelated to this entry: calculated crystals
=====
# 1
Computed, not measured: a geometry-optimized NaGaBiS2 structure at the PBEsol level of DFT.

Energy relative to the elements, uncorrected ... 201.9 meV per atom

Lattice parameters (Å, degrees): 4.781 4.781 5.050 90.00 90.00 90.00
Fractional positions:
Na  0.000  0.000  0.000
Ga  0.000  0.000  0.500
Bi  0.500  0.500  0.000
S  0.000  0.500  0.500
S  0.500  0.000  0.500

# 2
Computed, not measured: a geometry-optimized Ga2Ni2Bi structure at the PBEsol level of DFT.

ΔH_f (0 K) ... -0.053 eV/atom

Lattice parameters (Å, degrees): 5.709 5.709 5.709 138.05 138.05 60.82
Fractional positions:
Ga  0.130  0.130  0.000
Ga  0.870  0.870  0.000
Ni  0.250  0.750  0.500
Ni  0.750  0.250  0.500
Bi  0.500  0.500  0.000

# 3
Computed, not measured: a geometry-optimized GaBi12O20 structure at the PBEsol level of DFT.

Energy relative to the elements, uncorrected ... -1250.5 meV per atom

Lattice parameters (Å, degrees): 8.684 8.684 8.684 109.47 109.47 109.47
Fractional positions:
Ga  0.000  0.000  0.000
Bi  0.145  0.835  0.326
Bi  0.165  0.309  0.491
Bi  0.182  0.691  0.855
Bi  0.309  0.491  0.165
Bi  0.326  0.145  0.835
Bi  0.491  0.165  0.309
Bi  0.509  0.818  0.674
Bi  0.674  0.509  0.818
Bi  0.691  0.855  0.182
Bi  0.818  0.674  0.509
Bi  0.835  0.326  0.145
Bi  0.855  0.182  0.691
O  0.000  0.000  0.384
O  0.000  0.000  0.785
O  0.000  0.384  0.000
O  0.000  0.785  0.000
O  0.126  0.356  0.745
O  0.215  0.215  0.215
O  0.231  0.874  0.619
O  0.255  0.611  0.381
O  0.356  0.745  0.126
O  0.381  0.255  0.611
O  0.384  0.000  0.000
O  0.389  0.644  0.769
O  0.611  0.381  0.255
O  0.616  0.616  0.616
O  0.619  0.231  0.874
O  0.644  0.769  0.389
O  0.745  0.126  0.356
O  0.769  0.389  0.644
O  0.785  0.000  0.000
O  0.874  0.619  0.231

# 4
Computed, not measured: a geometry-optimized GaBiPO2 structure at the PBEsol level of DFT.

Energy relative to the elements, uncorrected ... -45.4 meV per atom

Lattice parameters (Å, degrees): 4.118 4.118 5.419 90.00 90.00 90.00
Fractional positions:
Ga  0.000  0.000  0.000
Bi  0.500  0.500  0.500
P  0.500  0.500  0.000
O  0.000  0.500  0.500
O  0.500  0.000  0.500

# 5
Computed, not measured: a geometry-optimized GaBi3Sb2O11 structure at the PBEsol level of DFT.

Energy relative to the elements, uncorrected ... -1488.9 meV per atom

Lattice parameters (Å, degrees): 9.446 9.509 13.398 90.00 134.72 90.00
Fractional positions:
Ga  0.000  0.246  0.000
Ga  0.000  0.754  0.500
Ga  0.489  0.251  0.330
Ga  0.489  0.749  0.830
Bi  0.159  0.011  0.242
Bi  0.159  0.989  0.742
Bi  0.162  0.404  0.618
Bi  0.162  0.596  0.118
Bi  0.185  0.364  0.368
Bi  0.185  0.636  0.868
Bi  0.402  0.107  0.622
Bi  0.402  0.893  0.122
Bi  0.671  0.493  0.757
Bi  0.671  0.507  0.257
Bi  0.881  0.132  0.374
Bi  0.881  0.868  0.874
Sb  0.310  0.253  0.000
Sb  0.310  0.747  0.500
Sb  0.654  0.090  0.992
Sb  0.654  0.409  0.992
Sb  0.654  0.591  0.492
Sb  0.654  0.910  0.492
Sb  0.805  0.249  0.648
Sb  0.805  0.751  0.148
O  0.103  0.249  0.786
=====
### End of the calculated crystals

All of the above


Name the 4 ways of Natural Revelation which we use to know about God

nature or creation, deep longings or desires, inspiring relationships, and human reason


What (or who) is the fullness of Divine Revelation?

Jesus Christ 


He struggled with sibling rivalry, tricked several people to get ahead, and received the nickname "Israel".

Who is Jacob.


Go to Confession! In order to return to a full relationship with God after we lapse in our faith, betray God's trust, or abuse our freedom, we must:

Admit our faults, demonstrate sorrow for our sin, and be willing to repent


What term describes God becoming human in the person of Jesus, the Son of God (hint: Juan wants to become a goldfish so he can ...)

Incarnation (carne= flesh)